### Contents
=====
(1)
{
  "formula": "C23H62HgN5O6",
  "method": "ωB97M-V/def2-TZVPD",
  "symbols": ["Hg", "C", "C", "C", "O", "H", "H", "H", "H", "H", "H", "H", "C", "C", "C", "O", "C", "N", "H", "H", "H", "H", "H", "H", "H", "H", "H", "H", "H", "C", "C", "C", "O", "C", "N", "H", "H", "H", "H", "H", "H", "H", "H", "H", "H", "H", "C", "C", "C", "O", "C", "N", "H", "H", "H", "H", "H", "H", "H", "H", "H", "H", "H", "C", "C", "C", "O", "C", "N", "H", "H", "H", "H", "H", "H", "H", "H", "H", "H", "H", "C", "C", "C", "O", "C", "N", "H", "H", "H", "H", "H", "H", "H", "H", "H", "H", "H"],
  "coordinates": [[-2.9691, 0.0668, -0.9364], [1.5661, -0.3841, -1.4818], [0.2730, 0.4099, -1.7506], [-0.1238, 0.3121, -3.2188], [-0.6940, 0.0866, -0.8112], [1.8892, -0.1063, -0.4803], [2.3319, -0.1499, -2.2186], [1.3231, -1.4502, -1.5075], [0.5537, 1.4769, -1.6361], [-0.5304, -0.6942, -3.4176], [0.7298, 0.3774, -3.8961], [-0.8638, 1.0378, -3.5500], [-0.2002, 4.6333, 1.7263], [0.1789, 3.5384, 0.7497], [1.6743, 3.5439, 0.4503], [1.9803, 4.6016, -0.4451], [2.0121, 4.1871, -1.7999], [-0.3413, 2.2504, 1.2756], [-1.2902, 4.7197, 1.7796], [0.0979, 5.6368, 1.4176], [0.2003, 4.4235, 2.7185], [-0.2936, 3.7354, -0.2232], [2.0147, 2.5615, 0.0889], [2.3120, 3.6965, 1.3263], [1.2322, 3.4854, -2.1091], [2.9689, 3.6684, -1.9546], [2.0185, 5.0734, -2.4288], [0.2837, 2.0671, 2.0609], [-0.2015, 1.5042, 0.5855], [-1.3802, -3.8348, 0.5284], [-2.5532, -2.8770, 0.2902], [-2.7991, -1.9255, 1.4439], [-3.7309, -0.8991, 1.1459], [-4.9778, -1.0225, 1.8194], [-2.2675, -2.1369, -0.9717], [-1.5432, -4.2928, 1.5058], [-0.4250, -3.3066, 0.5055], [-1.3207, -4.5603, -0.2791], [-3.4659, -3.4320, 0.0452], [-1.8237, -1.4590, 1.6569], [-3.0062, -2.3878, 2.4094], [-5.2004, -2.0815, 1.9640], [-5.8126, -0.6330, 1.2332], [-5.0039, -0.4914, 2.7723], [-2.4609, -2.6005, -1.8457], [-1.3191, -1.7331, -0.9305], [3.3364, -3.9161, -3.4860], [2.8407, -4.7591, -2.3217], [1.4577, -5.2905, -2.6462], [0.9671, -6.0568, -1.5658], [-0.2227, -6.7126, -1.9015], [3.8205, -5.8470, -2.1574], [4.2918, -3.4279, -3.2961], [2.6539, -3.0685, -3.6355], [3.4128, -4.4721, -4.4195], [2.8048, -4.2078, -1.3811], [1.4199, -5.7921, -3.6214], [0.7704, -4.4318, -2.7852], [-0.6178, -7.2034, -1.0096], [-0.1644, -7.5040, -2.6533], [-0.9868, -5.9780, -2.1932], [3.4693, -6.6106, -1.5845], [3.9791, -6.2895, -3.0593], [2.9637, 0.8515, 5.8225], [3.9222, 0.8831, 4.6374], [3.3967, 1.7605, 3.4875], [2.1293, 1.4033, 2.9912], [2.1451, 0.1265, 2.3907], [5.2603, 1.3872, 4.9659], [3.4210, 0.3365, 6.6675], [1.9605, 0.4979, 5.5990], [2.8681, 1.8947, 6.1518], [4.0881, -0.1219, 4.2392], [4.2046, 1.7818, 2.7468], [3.3283, 2.7746, 3.8914], [1.2402, -0.0203, 1.8022], [2.2198, -0.6798, 3.1259], [3.0022, 0.0127, 1.7169], [5.8433, 0.5844, 5.1944], [5.3106, 1.8889, 5.8511], [-4.1064, 4.3003, 0.3665], [-3.9289, 2.9710, -0.3584], [-3.3709, 3.2396, -1.7630], [-3.0863, 1.9769, -2.3897], [-3.1463, 2.1254, -3.8129], [-3.0260, 2.0516, 0.3457], [-4.2768, 4.0483, 1.4207], [-4.9565, 4.8865, 0.0257], [-3.1968, 4.9013, 0.3972], [-4.9043, 2.5245, -0.5724], [-2.4277, 3.7928, -1.7045], [-4.0957, 3.8274, -2.3251], [-3.0672, 1.1512, -4.2868], [-2.3743, 2.8177, -4.1582], [-4.0956, 2.5721, -4.1263], [-3.4513, 1.9675, 1.2669], [-2.0685, 2.4165, 0.5040]],
=====

### Request
Search the entries further up for the word "C23H62HgN5O6" and print each line that has it.

### Worked solution
  "formula": "C23H62HgN5O6",